World Dental Show 2019 Mumbai HANDS ON 3D ENDODONTICS

World dental Show Mumbai 2019  MMRDA grounds BKC Mumbai.

 Hands on course on 3D Endodontics by Dr Suresh Shenvi.
On the third and last day of the event  Sunday 20th october 2019 at 2:00 p.m. in the afternoon session more than 15 + participants including fresh dental graduates and  practicing Dental professional across asia especially bangladesh have attended a superb lecture, Fantastic demo and awesome hands-on course on endodontics guided by Dr. Suresh shenvi MDS . The following points were highlighted by the speaker for the long term success of a root canal procedure -
1. whatever may be the extent of dental caries in the proximal contacts the pre Endo built up holds a vital role in the outcome of the root canal including irrigation within closed  chamber
2.almost 90% of the practicing dental professionals always think of a working length of a root canal while performing root canal procedures and less think of working width of the canals.
3. while diagnosing a case of tooth with a sinus, the level of sinus opening can be checked in order to diagnose the problem  marginal gingiva ,if at  attached gingiva it can be due to periodontol reason and when the Sinus level is at mucogingival junction it can be a combined Endo perio lesion
4. When came across a fractured tooth we should never jump to advise extraction particular tooth instead the drilling of the fractured Crown can determine the line of the fracture whether it is up to the furcation or only upto the pulp chamber .If it is upto only pulp chamber RCT can be done to give an opportunity to the patient to save the tooth.
5. the patient complaining of severe pain should never be offered a treatment of single sitting RCT a patient with a mild to moderate pain with no radiographic periapical lesion can be performed a single sitting RCT in some cases .
6.the most of the practicing individual find it is good to operate Canal with a Calcium Hydroxide dressing but still it is an irritant and can be harmful in some cases .
7 when thinking of calcium hydroxide material dressing a water based material must be chosen over a oil based material also tips to  dispense can easily and effectively obturate canals  properly with calcium hydroxide.
 8.The pain control techniques are always lead to the success of endodontic treatment from the patient point of view
9. the use of antibiotics must be restricted to overcome the problem of antibiotic resistance
10. Pulp when injected with a pressure always breaks down and the solution with which  it is  injected may be normal saline or local anaesthesia does a very small role.
11. minimally invasive approach while treating a tooth can  be truss access in which a transverse Ridge is not removed.
12. over shaping into the middle third area of the canal  can lead to the fracture of the tooth
13. the ideal strategy to use RVG should include x ray with DC connection over x-ray with AC connection
14.the chlorhexidine in cases of retreatments  with sodium hypochloride alternatively  is good option Also a normal saline can be included
15 . the manual dynamic irrigation. Putting after  Cutting  the tip of the last GP selected  and Canal filled with EDTA and sodium hypochlorite
____________
Entry 1:
{
  "formula": "C5H7NO2",
  "method": "wB97M-V/def2-TZVPD",
  "smiles": "C[C@H](C=O)C(O)=C=N",
  "relative_energy_ev": 3.118,
  "lumo_ev": 0.323,
  "energy_ha": -399.8510,
  "spin_multiplicity": 1,
  "orbital_gap_ev": 8.26,
  "e_homo_ev": -7.938,
  "symbols": ["C", "C", "C", "O", "C", "O", "C", "N", "H", "H", "H", "H", "H", "H", "H"],
  "coordinates": [[-0.46219, 1.25151, -1.19916], [-0.28506, -0.21765, -0.78911], [-1.50081, -0.63095, 0.07724], [-1.61531, -1.56281, 0.83907], [0.90432, -0.42930, 0.08971], [1.97315, -1.08935, -0.45312], [0.69642, -0.15926, 1.37638], [0.88969, -0.23346, 2.58875], [-0.58489, 1.88358, -0.32113], [0.41399, 1.59899, -1.74222], [-1.35298, 1.36596, -1.81353], [-0.18358, -0.85050, -1.67611], [-2.43461, -0.21539, -0.35898], [2.58675, -1.33608, 0.25026], [0.95513, 0.62471, 3.13195]]
}



Entry 2:
{
  "formula": "C12H21AlClCsF7IKN3O12S3",
  "method": "wB97M-V/def2-TZVPD",
  "lumo_ev": -5.871,
  "energy_ha": -5050.2085,
  "spin_multiplicity": 1,
  "orbital_gap_ev": 1.36,
  "e_homo_ev": -7.233,
  "symbols": ["I", "C", "C", "C", "C", "C", "C", "C", "N", "H", "H", "H", "H", "H", "H", "H", "H", "H", "H", "H", "H", "H", "Cl", "Cs", "O", "H", "Al", "N", "O", "O", "O", "C", "F", "F", "F", "S", "O", "O", "N", "S", "O", "O", "C", "F", "F", "F", "F", "C", "O", "O", "O", "H", "C", "S", "O", "C", "H", "H", "H", "H", "H", "H", "K"],
____________
16. in cases of extreme curve of the root canal the technique which is used is TCA - that is unlike routine procedures when the rotating file must enter the canal while it is in the motion to reach the apex while in the TCA  special technique first the file is reached at Apex without any motion and once it is it has reached the Apex then it is moved and  rotated from Apex to coronal region
**Unrelated to this text: quantum chemistry results:**
'''
Entry 1:
Density functional theory data (the ωB97M-V functional and the def2-TZVPD basis) for a cluster of 4 separate species, C27H49N3O4S in total in a non-equilibrium geometry.

Properties
- Structure (SMILES): CS(=O)(=O)c1cccc2ncc(ON=O)nc12.CCCCCC.CCCCCC.CCCCCC
- HOMO: -9.53 eV
- Kohn-Sham gap: 7.59 eV
- Strongest force on any atom: 6.757 eV Å⁻¹

```
! RIJCOSX wB97M-V def2-TZVPD def2/J DEFGRID3
* xyz 0 1
C 2.0923 -3.3592 -1.4981
S 0.8907 -4.3441 -2.4975
O 1.3760 -5.7940 -2.4427
O 0.9586 -3.9598 -3.9746
C -0.8647 -4.2461 -1.8410
C -1.6804 -5.5514 -1.7854
C -3.1616 -5.4858 -1.2311
C -3.7786 -4.1283 -0.7827
C -2.9791 -2.7610 -0.8604
N -3.6758 -1.5707 -0.4060
C -2.7745 -0.4563 -0.5120
C -1.3021 -0.4807 -1.0646
O -0.5129 0.7643 -1.1169
N -1.0379 1.5013 -2.1751
O -0.9000 0.9246 -3.2013
N -0.6501 -1.6788 -1.5096
C -1.4959 -2.8425 -1.3837
H 1.8634 -2.2341 -1.4527
H 2.1087 -3.7903 -0.4372
H 3.1585 -3.4398 -1.9378
H -1.2045 -6.5192 -2.1481
H -3.7672 -6.4456 -1.1619
H -4.8550 -4.1047 -0.3681
H -3.1744 0.5635 -0.1487
C 2.0247 2.5153 -0.0723
C 0.8497 3.3706 0.3938
C 1.2769 4.7352 0.9361
C 2.1702 4.6915 2.1789
C 1.5805 3.9523 3.3800
C 0.3052 4.5915 3.9120
H 2.7088 2.2833 0.7471
H 1.6612 1.5670 -0.4767
H 2.5866 3.0227 -0.8622
H 0.2726 2.8221 1.1460
H 0.1755 3.5284 -0.4546
H 0.3780 5.3231 1.1526
H 1.8080 5.2810 0.1471
H 2.4006 5.7222 2.4751
H 3.1313 4.2336 1.9213
H 2.3246 3.9430 4.1824
H 1.3872 2.9037 3.1281
H 0.4868 5.6266 4.2152
H -0.0562 4.0438 4.7865
H -0.4917 4.5861 3.1663
C -5.7834 0.7644 -6.7371
C -5.9537 -0.7474 -6.6690
C -6.0504 -1.2778 -5.2379
C -4.8104 -1.0435 -4.3704
C -3.5148 -1.6202 -4.9117
C -3.5386 -3.1293 -5.0373
H -4.8568 1.0904 -6.2598
H -5.7505 1.0927 -7.7802
H -6.6225 1.2727 -6.2529
H -5.1309 -1.2335 -7.2035
H -6.8695 -1.0196 -7.2039
H -6.2722 -2.3501 -5.2761
H -6.9115 -0.8118 -4.7435
H -4.9925 -1.4707 -3.3761
H -4.6767 0.0323 -4.2126
H -2.7020 -1.3418 -4.2329
H -3.2720 -1.1740 -5.8826
H -3.7289 -3.5936 -4.0646
H -2.5727 -3.4930 -5.3978
H -4.3004 -3.4653 -5.7433
C 6.3994 0.2348 7.3437
C 6.2880 0.1211 5.8291
C 5.7329 1.3849 5.1704
C 4.3066 1.7620 5.5812
C 3.2493 0.6863 5.3309
C 3.0874 0.3348 3.8584
H 5.4243 0.3836 7.8125
H 6.8289 -0.6817 7.7591
H 7.0518 1.0669 7.6244
H 5.6735 -0.7477 5.5708
H 7.2843 -0.0759 5.4200
H 5.7793 1.2620 4.0826
H 6.3945 2.2276 5.4045
H 4.0210 2.6723 5.0403
H 4.2916 2.0293 6.6432
H 2.2880 1.0483 5.7091
H 3.4817 -0.2204 5.9007
H 2.8077 1.2177 3.2770
H 2.3003 -0.4137 3.7328
H 4.0061 -0.0777 3.4374
*
```

***

Entry 2:
Density functional theory data (the ωB97M-V functional and the def2-TZVPD basis) for a cluster of 7 separate species, C27H49N6O in total in a non-equilibrium geometry.

Properties
- HOMO: -3.36 eV
- Kohn-Sham gap: 5.57 eV
- Strongest force on any atom: 2.614 eV Å⁻¹

```
! RIJCOSX wB97M-V def2-TZVPD def2/J DEFGRID3
* xyz -1 1
C 1.2535 0.4353 -1.3739
C 1.3024 1.1666 -0.0486
C 0.2922 0.5770 0.9376
O 2.5601 1.2599 0.4871
H 1.9526 0.8364 -2.1069
H 0.2963 0.6213 -1.9058
H 1.2073 -0.6554 -1.2713
'''
17 use of paper points in order to block a canal  which is prepared at time of preparing other canals is advised to avoid blocking with debris
18. Apical plug must be created using a plugger during obturation.
